In the media scramble to gather information about Adam Lanza, the shooter in last week’s Sandy Hook Elementary School tragedy, some news outlets have suggested that the 20-year-old may have been diagnosed with Asperger’s syndrome, a developmental disorder sometimes referred to as “high-functioning autism.”
Whether or not Lanza had received such a diagnosis (and it is all speculation at this point), experts who work closely with the autism community want to make one thing clear: Violent behavior is not a symptom of autism. There is no evidence that people with the disorder are more likely to commit a violent crime than those without it. In fact, people with autism are more likely to be the victims of a crime.
To learn more about Asperger’s syndrome and autism, MinnPost talked with Pat Pulice, director of the Minnesota-based Fraser Center of Autism Excellence. An edited transcript of the conversation follows.
MinnPost: What is Asperger’s syndrome?
Pat Pulice: Asperger’s is a neurodevelopmental disorder of unknown cause. The disorder describes a constellation of characteristics where the child or adult has challenges in social interactions and with repetitive and stereotyping behavior patterns.
MP: How is it related to autism?
PP: Asperger’s is part of the autism spectrum disorders. We diagnose it using the DSM-4 [Diagnostic and Statistical Manual of Mental Disorders, 4th edition]. It’s a subtype of what we would call the pervasive development disorders. There are five different types: Autism is one. Asperger’s is one. PDD-NOS [pervasive development disorder not otherwise specified] is one. [The other two are Rett syndrome and childhood disintegrative disorder.] They are related in that they have similar characteristics. But the number, intensity and pattern of the characteristics are different among those subtypes.
Calculated molecules, kept here for reference:
~~~
C17H30F3N2O9Ti | ωB97M-V with the def2-TZVPD basis set

Molar mass, g mol⁻¹: 511.29
E, hartree: -2601.43665
Spin multiplicity: 4
Total charge: 0
Highest occupied orbital energy (alpha / beta), hartree: -0.139 / -0.278
<S²>: 3.752
Lowest unoccupied orbital energy (alpha / beta), eV: 0.68 / 0.64

```
62
Properties=species:S:1:pos:R:3:lowdin_spin:R:1
Ti -5.99750 -17.62957 -17.46242 2.524
C -6.24824 -17.03468 -13.04298 0.001
C -6.97310 -16.41911 -14.24409 0.004
C -7.04665 -14.89564 -14.08987 0.001
O -6.44657 -16.82514 -15.42438 0.049
H -5.18760 -16.75246 -13.05241 0.000
H -6.29398 -18.12374 -13.09599 0.000
H -6.68610 -16.70065 -12.09744 0.000
H -8.03757 -16.78289 -14.15130 0.001
H -7.50034 -14.60095 -13.13985 0.000
H -7.61916 -14.47446 -14.91130 0.000
H -6.03162 -14.48107 -14.11377 0.000
C -9.15417 -18.12106 -11.30917 0.000
C -9.89038 -19.14262 -12.13664 0.000
O -8.96289 -19.73430 -13.07526 0.000
C -9.19234 -19.55224 -14.35742 0.001
O -10.15118 -19.05175 -14.86268 0.001
C -8.02877 -20.12852 -15.18937 0.006
F -8.05182 -19.61381 -16.41288 0.035
F -6.83815 -19.87590 -14.63004 0.008
F -8.15680 -21.45847 -15.29024 0.002
H -9.70389 -17.82165 -10.41620 0.000
H -8.91720 -17.21163 -11.86732 0.000
H -8.19478 -18.51879 -10.97102 0.000
H -10.78072 -18.74829 -12.61489 0.000
H -10.21433 -19.97055 -11.49994 0.000
C -3.76684 -21.47167 -18.70261 0.001
O -5.14372 -21.73507 -18.96675 0.004
C -5.91868 -20.66766 -19.12234 0.022
O -5.57499 -19.52095 -18.95857 0.056
O -7.12192 -21.06044 -19.47299 0.005
C -8.06704 -20.00989 -19.75279 0.011
H -3.60475 -21.43190 -17.62604 0.001
H -3.46132 -20.52669 -19.14043 0.000
H -3.20461 -22.30374 -19.11514 0.000
H -8.37748 -19.52717 -18.82814 0.007
H -8.93987 -20.50486 -20.16923 0.001
H -7.64262 -19.29506 -20.45016 0.001
C -6.06077 -16.05904 -21.12026 0.005
O -6.29346 -14.94557 -20.26352 0.003
C -5.61233 -14.97136 -19.13613 0.015
O -4.86866 -15.85891 -18.78582 0.051
O -5.87109 -13.88295 -18.43376 0.002
C -5.29383 -13.88033 -17.12182 0.007
H -6.40007 -16.98573 -20.65163 0.003
H -5.00433 -16.19042 -21.36199 0.000
H -6.61672 -15.86252 -22.03075 0.000
H -4.21910 -14.03863 -17.15630 0.001
H -5.76016 -14.64880 -16.50342 0.005
H -5.50878 -12.90360 -16.69295 0.000
C -9.26838 -15.30281 -17.00570 0.008
C -8.65630 -16.18953 -17.97159 0.039
N -8.19291 -16.88075 -18.75462 0.066
H -10.22810 -14.92819 -17.36556 0.002
H -8.63740 -14.41897 -16.90796 0.001
H -9.40253 -15.82606 -16.06384 0.001
C -3.70746 -19.74228 -14.23917 0.002
C -3.69032 -19.12832 -15.55765 0.016
N -3.63047 -18.60353 -16.57489 0.029
H -3.82278 -18.97172 -13.47939 0.000
H -2.79486 -20.31749 -14.10509 0.000
H -4.56984 -20.39963 -14.15092 0.001
```

* * * * *

Entry from OMol25: a cluster of 4 separate species, C24H45N2O14 in total (ωB97M-V with the def2-TZVPD basis set).

Each line ends with the Löwdin charge.
Atoms and positions in Å:
C: 3.624 2.689 -2.599  -0.118
C: 4.454 1.689 -3.541  -0.222
O: 3.675 0.678 -4.240  -0.165
C: 2.325 0.560 -3.758  -0.205
C: 1.695 -0.729 -4.547  -0.092
~~~
MP: Does Asperger’s sometimes overlap with other disorders?
PP: You can have other [health issues] as well, both physical and mental-health ones. You could have high-activity or mood regulation [issues], for example. You could have a whole host of things of things in addition to Asperger’s.
MP: Are people with Asperger’s violent?
PP: We don’t expect violence, and the research does not suggest a causal link. So we would not expect that to be part of the picture. Asperger’s really describes a way of processing, a way of understanding and thinking and relating about things. So violence is not something we expect to be part of the picture. It would be something separate.
MP: Do we know what causes autism?
PP: No, we really don’t. And when we look at the wide range of people who demonstrate characteristics of autism, they can look very, very different. Many people say that if you know one person with Asperger’s or one person with autism, you know only one person. The speculation is that it’s a combination of things that contribute to a path that leads to a diagnosis of autism.
MP: But it is not caused by parenting, correct?
PP: Yes. Thanks for clarifying that. There was a time in history when we talked about “refrigerator parents.” That is very much refuted. Parenting does not cause Asperger’s or autism spectrum disorders.
MP: How is Asperger’s treated?
PP: It’s treated by looking at the behavioral issues that are getting in the way of day-to-day functioning. There’s a whole host of behavioral interventions. There are family interventions to support ways to parent, to help provide structure. There are school interventions to look at some of the social and academic issues that may occur in those environments. Much of what we do with people with Asperger’s disorder is to structure the environment or work with the behaviors using cognitive behavioral therapy to address any issues that arise.
MP: How does having a child with Asperger’s affect families?
PP: In a wide variety of ways. It’s difficult enough to understand what a child’s needs are and then come up with ways to successfully promote the child’s development. But when you have a child who does something different and for whom textbook strategies don’t really work, it can cause some stress, not only on parents, but also on siblings. Most families [with a child with Asperger’s] are able to get support services to better understand what’s going to be helpful. They can then create those positive paths and productive interactions. We see a lot of change once families understand how their child is processing information.
MP: Are we making any progress in developing better treatments or even a possible cure?
PP: There is certainly a lot of research going on, and we are definitely making progress in understanding how the characteristics of Asperger’s and autism are impacting day-to-day living. Some of the families who come through our doors are at their wits’ end and very challenged by dealing with their child’s behaviors or learning or relationships. With support and intervention, they are able to turn things around. The goal is to get people with Asperger’s to function at their maximum potential. Many of them have an area of expertise that is far above what you or I might know. If we can channel that into a productive interest or career, these people can really do some wonderful things.
MP: What more needs to be done on a societal level to help people with Asperger’s and their families?
PP: We need [for our communities] to have a basic understanding about the diversity and strengths of people with this disorder. We need to think outside the box about how to arrange employment or school services or social activities. We need to think of alternate ways to get them involved and keep them engaged. For once they’re involved and engaged, they can be highly successful.
MP: You mention the DSM-4. That’s just gone through a controversial rewriting, and a new edition, the DSM-5, is scheduled to come out next year. Autism, Asperger’s and PDD-NOS are going to be replaced by the single umbrella term “autism spectrum disorder.” How will that change affect services for people with Asperger’s and their families?
PP: There is going to be some adjustment. This is the third time we’ve seen autism spectrum in the manual since 1980. We’ve gone through changes before. The initial definition was very broad. In 1994, it became more specific. And now, in 2013, it’s going to get broad again. There’s been a lot of public conversation about this, and I think that’s great. We need to figure out how this is going to work not only for professionals, but also for families. I think the broad definition, as we’ve looked at it, captures many of our clients who are coming through our doors and needing services. Those [whose cases] are complex and who fall into a kind of grey area will continue to be there, too. But if there’s a family needing help and support, we believe that there’s going to be some way to work with those families and continue to get them services.
It’s important to note that the DSM change will not interfere with school eligibility criteria, at least in Minnesota. We have separate criteria that are actually based on a previous manual, the DSM-3. We expect kids to continue to get services despite the DSM change.
MP: How are the families you serve reacting to the speculative reports that Adam Lanza had Asperger’s?
PP: I think people are mostly focused on the issues of keeping our children safe and of making sure that families get what they need. There has certainly been a lot of speculation in the community. I think anytime we’re hit with a horrific incident, we want to try to understand what caused it. We want to know details so we can prevent and control those issues.
Next to the article, the page also holds data records =
********
{"formula": "C9H6ClNO3", "method": "wB97M-V/def2-TZVPD", "multiplicity": 1, "homo_energy_ev": -9.295, "total_charge": 0, "lumo_energy_ev": -1.01, "orbital_gap_ev": 8.289, "energy_ha": -1087.0248, "species": ["C", "C", "C", "C", "C", "C", "C", "C", "C", "N", "O", "O", "O", "Cl", "H", "H", "H", "H", "H", "H"], "positions_angstrom": [[0.50793, 0.69032, -1.46011], [-0.80411, 0.90547, -1.07536], [1.33500, -0.10167, -0.67714], [-1.29539, 0.33838, 0.08698], [0.84872, -0.68247, 0.47722], [-0.47072, -0.45822, 0.87779], [-0.92150, -1.06432, 2.13114], [-1.85952, -0.61821, 2.93577], [-1.99022, -1.59306, 4.90236], [-2.73284, 0.46292, 3.02986], [-2.73057, -1.15885, 5.69342], [-3.60660, 0.56231, 2.18509], [-2.58287, 1.20850, 3.97930], [-0.92941, -2.87596, 4.91946], [0.88860, 1.12970, -2.36980], [-1.45539, 1.51725, -1.68119], [2.36018, -0.27379, -0.96913], [-2.32601, 0.49586, 0.36300], [1.49507, -1.29237, 1.08989], [-0.36464, -1.94437, 2.43767]], "forces_ev_per_angstrom": [[0.0927, -0.0262, 0.0033], [-0.0147, 0.0344, -0.0146], [0.0643, -0.0157, -0.0837], [-0.0157, -0.0145, -0.0484], [-0.2279, 0.1032, 0.0425], [0.1768, 0.0562, -0.3073], [-0.2067, 0.5075, -0.2384], [0.6959, -3.1503, 3.9149], [-1.0941, 2.8613, -2.9690], [-0.3175, 0.9710, -0.1899], [0.5298, -0.4577, -0.3021], [-0.2945, 0.0564, -0.0567], [-0.0316, -0.0140, -0.0539], [0.6646, -0.9069, 0.1795], [0.0219, 0.0563, -0.0716], [-0.0439, 0.0437, -0.0709], [0.0796, -0.0007, -0.0480], [-0.0362, -0.0125, 0.0275], [0.0760, -0.1143, 0.0693], [-0.1186, 0.0229, 0.2174]], "mulliken_charge": [-0.4377, -0.5704, -0.5153, -0.4464, -0.5173, 0.7748, -0.5550, 0.1976, 0.4670, 0.8832, -0.3129, -0.5598, -0.5346, -0.0839, 0.3782, 0.3867, 0.3714, 0.4550, 0.3486, 0.2708]}

* * * * *

Computed, not measured: a molecular structure, C41H48N4O6P2ReSTe, with ωB97M-V/def2-TZVPD.

## Properties
**Calculated total energy**: -100369.3182 eV
**Spin multiplicity**: 2
**Total charge**: +2
**Lowest unoccupied orbital energy (spin up / spin down)**: -6.38 / -6.11 eV

Each line ends with the Löwdin spin population.
CARTESIAN COORDINATES (ANGSTROEM)
Re 0.536 1.268 0.508  0.80
N 0.155 1.195 2.683  -0.01
C -1.113 0.513 3.024  0.00
C -0.995 -0.473 4.174  0.00
C 0.061 -1.566 3.944  0.00
C -0.357 -2.905 4.533  0.00
N -1.511 -3.400 3.785  0.00
C -2.176 -4.507 4.064  0.00
N -3.145 -4.912 3.240  0.00
N -1.907 -5.208 5.166  0.00
C -1.671 -0.132 1.747  0.01
O -2.393 -1.093 1.759  0.02
O -1.296 0.522 0.653  0.07
H 0.966 0.695 3.062  0.00
H 0.174 2.135 3.076  0.00
H -1.835 1.291 3.288  0.00
H -1.984 -0.917 4.297  0.00
H -0.780 0.074 5.094  0.00
H 1.018 -1.282 4.384  0.00
H 0.251 -1.711 2.875  0.00
H -0.629 -2.785 5.586  0.00
H 0.470 -3.617 4.465  0.00
H -1.633 -3.017 2.851  0.00
H -3.373 -4.368 2.425  0.00
H -3.640 -5.774 3.390  0.00
H -1.120 -4.978 5.746  0.00
H -2.442 -6.024 5.409  0.00
O 3.902 -0.369 0.355  0.01
S 2.852 0.007 1.227  0.02
O 3.067 0.154 2.632  0.00
O 1.530 -0.652 0.930  0.00
O 2.351 1.570 0.720  0.05
C -1.705 3.113 -2.104  0.00
********
So much for the data records =
The story does impact public perception, of course. But this is an opportunity for all of us to educate and talk about the facts about developmental disorders and child development in a way that is proactive.